## Given
┌──
Record 1
This record from Alexandria describes an optimized crystal structure of GaTc2Ir2. The functional is PBE.

Cell and atoms, written as POSCAR:
```
GaTc2Ir2
1.0
7.5878 0.0000 0.0000
0.0000 7.5878 0.0000
0.0000 0.0000 2.7479
Ga Tc Ir
2 4 4
Cartesian
0.0000 0.0000 0.0000
3.7939 3.7939 0.0000
1.3065 2.4874 1.3739
2.4874 6.2813 1.3739
5.1004 1.3065 1.3739
6.2813 5.1004 1.3739
0.9371 4.7310 0.0000
2.8567 0.9371 0.0000
4.7310 6.6506 0.0000
6.6506 2.8567 0.0000
```

Symmetry ... No. 127

---

Record 2
This record from Alexandria describes an optimized crystal structure of ScTe4Mo. The functional is PBE.

Cell and atoms, written as POSCAR:
```
ScTe4Mo
1.0
0.0000 4.4119 4.4119
4.4119 0.0000 4.4119
4.4119 4.4119 0.0000
Sc Te Mo
1 4 1
Cartesian
0.0000 0.0000 0.0000
5.5131 3.3106 3.3106
3.3106 5.5131 3.3106
3.3106 3.3106 5.5131
5.5131 5.5131 5.5131
2.2059 2.2059 2.2059
```

Raw formation energy ... 0.891 eV/atom
Symmetry ... No. 216

---

Number 1: ρ 13.65 g cm⁻³, E -81.723 eV/cell. Number 2: ρ 6.30 g cm⁻³, E -24.385 eV/cell.

----------

Computed, not measured: a relaxed K2Li2Tc crystal at the GGA-PBE level of DFT.

```
10
Lattice="7.655 -0.089 3.565 -1.411 -2.368 5.896 5.882 -6.309 4.291" Properties=species:S:1:pos:R:3 pbc="T T T"
K 5.824 -0.457 3.009
K 0.334 -2.915 5.224
K 1.465 -1.845 2.332
K 4.512 -3.452 3.316
Li 5.731 -1.798 6.011
Li 3.204 -4.466 6.158
└──

## Request
Count the lines above that contain the word "Tc" and give the number alone.

## Reply
1